Copy the data further below verbatim.
=====
For Li4V3OF11, a PBE+U-relaxed structure gives the theoretical powder diffraction line list in this record (a wavelength of 1.5418 Å).
No peak broadening, texture or thermal motion is included.

Crystal structure
```
38
Lattice="5.1950 0.0000 0.0000 0.1748 5.4750 0.0000 0.1376 2.6615 16.1496" Properties=species:S:1:pos:R:3 pbc="T T T"
Li 0.0000 0.0000 0.0000
Li 0.2120 3.2474 1.9759
Li 1.6055 4.3034 5.9729
Li 1.9604 4.6299 11.4649
Li 2.6872 0.7254 1.8864
Li 3.0790 5.5714 16.0844
Li 4.3191 1.9078 6.3885
Li 4.6681 6.9887 11.7243
V 0.2920 5.8095 14.3577
V 0.2000 3.0913 8.9362
V 0.2707 5.8359 3.5416
V 2.7682 3.1127 14.3575
V 2.8860 5.8184 8.8877
V 2.7829 3.0517 3.5442
O 1.3820 4.1473 3.8142
O 4.2174 1.9479 3.0395
F 0.7449 5.7100 12.3792
F 0.6658 3.0175 7.0390
F 0.9857 5.6612 1.6737
F 1.1410 4.0364 15.0899
F 1.2844 6.8661 9.2901
F 1.8390 4.1652 9.5188
F 1.7876 1.4000 3.9530
F 2.0149 6.9346 15.0440
F 2.0900 2.7553 1.6352
F 2.2201 3.0869 12.5604
F 2.3785 5.6099 7.0699
F 3.3485 5.9446 10.7808
F 3.3045 3.1935 5.3907
F 3.3959 0.7020 0.0707
F 3.6056 4.8945 14.1374
F 3.7788 1.9959 8.2984
F 3.8913 4.6521 2.8538
F 4.5954 7.6173 13.8096
F 4.5118 4.7943 8.5528
F 4.7236 3.5673 0.1903
F 4.8220 3.0836 10.7470
F 5.0437 5.8468 5.4028
```

The 6 most intense peaks (2θ = 10–90°), low angle first:
| 2θ (°) | d [Å] | intensity |
| --- | --- | --- |
| 16.47 | 5.383 | 100 |
| 24.68 | 3.608 | 80 |
| 25.36 | 3.513 | 41 |
| 25.44 | 3.501 | 37 |
| 48.51 | 1.877 | 20 |
| 49.09 | 1.856 | 22 |
=====
For Li4V3OF11, a PBE+U-relaxed structure gives the theoretical powder diffraction line list in this record (a wavelength of 1.5418 Å).
No peak broadening, texture or thermal motion is included.

Crystal structure
```
38
Lattice="5.1950 0.0000 0.0000 0.1748 5.4750 0.0000 0.1376 2.6615 16.1496" Properties=species:S:1:pos:R:3 pbc="T T T"
Li 0.0000 0.0000 0.0000
Li 0.2120 3.2474 1.9759
Li 1.6055 4.3034 5.9729
Li 1.9604 4.6299 11.4649
Li 2.6872 0.7254 1.8864
Li 3.0790 5.5714 16.0844
Li 4.3191 1.9078 6.3885
Li 4.6681 6.9887 11.7243
V 0.2920 5.8095 14.3577
V 0.2000 3.0913 8.9362
V 0.2707 5.8359 3.5416
V 2.7682 3.1127 14.3575
V 2.8860 5.8184 8.8877
V 2.7829 3.0517 3.5442
O 1.3820 4.1473 3.8142
O 4.2174 1.9479 3.0395
F 0.7449 5.7100 12.3792
F 0.6658 3.0175 7.0390
F 0.9857 5.6612 1.6737
F 1.1410 4.0364 15.0899
F 1.2844 6.8661 9.2901
F 1.8390 4.1652 9.5188
F 1.7876 1.4000 3.9530
F 2.0149 6.9346 15.0440
F 2.0900 2.7553 1.6352
F 2.2201 3.0869 12.5604
F 2.3785 5.6099 7.0699
F 3.3485 5.9446 10.7808
F 3.3045 3.1935 5.3907
F 3.3959 0.7020 0.0707
F 3.6056 4.8945 14.1374
F 3.7788 1.9959 8.2984
F 3.8913 4.6521 2.8538
F 4.5954 7.6173 13.8096
F 4.5118 4.7943 8.5528
F 4.7236 3.5673 0.1903
F 4.8220 3.0836 10.7470
F 5.0437 5.8468 5.4028
```

The 6 most intense peaks (2θ = 10–90°), low angle first:
| 2θ (°) | d [Å] | intensity |
| --- | --- | --- |
| 16.47 | 5.383 | 100 |
| 24.68 | 3.608 | 80 |
| 25.36 | 3.513 | 41 |
| 25.44 | 3.501 | 37 |
| 48.51 | 1.877 | 20 |
| 49.09 | 1.856 | 22 |